## File
-- begin --
Below is a relaxed Nd2Sm3Y5 crystal, with properties calculated at the PBE level.

It has space group Ibam (No. 72), with a = 9.4185 Å, b = 22.0428 Å, c = 6.9026 Å, α = 90.00°, β = 90.00° and γ = 90.00°. The distinct sites, in fractional coordinates, are Nd at (0.1008, 0.1214, 0.0000), Sm at (0.0000, 0.0000, 0.2500), Sm at (0.2483, 0.3727, 0.0000), Y at (0.0000, 0.2476, 0.2500), Y at (0.0000, 0.5000, 0.2500) and Y at (0.0891, 0.3722, 0.5000).

The volume comes out at 1433.0 Å³ per cell. Its calculated total energy is -52.05 eV/f.u. The calculation puts the distance to the lowest polymorph of the same formula at 0.221 eV per atom. The value obtained for the formation enthalpy at 0 K is 396 meV per atom.

~~~~~

NbNi | PBE | relaxed

SG: No. 216
ΔE_f (meV/atom): 1141
Total magnetization (μB per cell): 0.8
DFT total energy (Ry per atom): -0.4917

Cell: 3.8538 3.8538 3.8538 Å, 60.00 60.00 60.00°
Last column: nearest neighbours and their distance in Å.
Fractional positions:
Ni1 0.2500 0.2500 0.2500  4 Nb 2.36
Nb1 0.0000 0.0000 0.0000  4 Ni 2.36

=====

NbNi2 | PBE | relaxed

SG: No. 227
ΔE_f (meV/atom): -180
Total magnetization (μB per cell): 0.6
DFT total energy (Ry per atom): -0.5333

Cell: 4.7944 4.7944 4.7944 Å, 60.00 60.00 60.00°
Last column: nearest neighbours and their distance in Å.
Fractional positions:
Ni1 0.6250 0.6250 0.1250  6 Ni 2.40
Ni2 0.6250 0.6250 0.6250  6 Ni 2.40
Ni3 0.6250 0.1250 0.6250  6 Ni 2.40
Ni4 0.1250 0.6250 0.6250  6 Ni 2.40
Nb1 0.2500 0.2500 0.2500  12 Ni 2.81, 4 Nb 2.94
Nb2 0.0000 0.0000 0.0000  12 Ni 2.81, 4 Nb 2.94

=====

NbNi2 | PBE | relaxed

SG: No. 166
ΔE_f (meV/atom): 2630
Total magnetization (μB per cell): 1.8
DFT total energy (Ry per atom): -0.3268

Cell: 7.5178 7.5178 7.5178 Å, 59.93 59.93 59.93°
Last column: nearest neighbours and their distance in Å.
Fractional positions:
Ni1 0.3750 0.3750 0.3750  2 Nb 2.30
Ni2 0.8750 0.3750 0.3750  2 Nb 2.30
Ni3 0.3750 0.3750 0.8750  2 Nb 2.30
Ni4 0.3750 0.8750 0.3750  2 Nb 2.30
Nb1 0.4999 0.4999 0.4999  4 Ni 2.30
Nb2 0.2501 0.2501 0.2501  4 Ni 2.30

~~~~~

1.
! PBE Y6MgFe2, optimized geometry; values from VASP
&SYSTEM
  ibrav = 0, nat = 18, ntyp = 3
/
ATOMIC_SPECIES
Y 88.91 Y.upf
Mg 24.30 Mg.upf
Fe 55.84 Fe.upf
CELL_PARAMETERS angstrom
-4.773 4.852 5.077
4.773 -4.852 5.077
4.773 4.852 -5.077
ATOMIC_POSITIONS angstrom
Y 4.773 2.784 -2.765
Y 2.762 1.820 0.000
Y 6.784 1.820 0.000
Y 1.924 4.852 -1.939
Y 2.849 0.000 3.138
Y 0.000 2.068 2.311
Y 4.773 2.784 2.765
Y 1.924 4.852 1.939
Y 2.849 0.000 7.016
Y -2.011 3.032 5.077
Y 2.011 3.032 5.077
Y 0.000 2.068 7.842
Mg 0.000 0.000 0.000
Mg 0.000 0.000 5.077
Fe 4.773 0.000 1.082
Fe 0.000 3.747 0.000
Fe 0.000 5.957 0.000
Fe 0.000 4.852 3.995
! D(E_F) ... 22.88 states/eV/cell
! Space-group type ... No. 71
! E_tot ... -6.402 eV/atom


2.
! PBE Y2MgFe, optimized geometry; values from VASP
&SYSTEM
  ibrav = 0, nat = 4, ntyp = 3
/
ATOMIC_SPECIES
Y 88.91 Y.upf
Mg 24.30 Mg.upf
Fe 55.84 Fe.upf
-- stop --

## Work order
Could you echo all of the contents above without additions?

## Outcome
Below is a relaxed Nd2Sm3Y5 crystal, with properties calculated at the PBE level.

It has space group Ibam (No. 72), with a = 9.4185 Å, b = 22.0428 Å, c = 6.9026 Å, α = 90.00°, β = 90.00° and γ = 90.00°. The distinct sites, in fractional coordinates, are Nd at (0.1008, 0.1214, 0.0000), Sm at (0.0000, 0.0000, 0.2500), Sm at (0.2483, 0.3727, 0.0000), Y at (0.0000, 0.2476, 0.2500), Y at (0.0000, 0.5000, 0.2500) and Y at (0.0891, 0.3722, 0.5000).

The volume comes out at 1433.0 Å³ per cell. Its calculated total energy is -52.05 eV/f.u. The calculation puts the distance to the lowest polymorph of the same formula at 0.221 eV per atom. The value obtained for the formation enthalpy at 0 K is 396 meV per atom.

~~~~~

NbNi | PBE | relaxed

SG: No. 216
ΔE_f (meV/atom): 1141
Total magnetization (μB per cell): 0.8
DFT total energy (Ry per atom): -0.4917

Cell: 3.8538 3.8538 3.8538 Å, 60.00 60.00 60.00°
Last column: nearest neighbours and their distance in Å.
Fractional positions:
Ni1 0.2500 0.2500 0.2500  4 Nb 2.36
Nb1 0.0000 0.0000 0.0000  4 Ni 2.36

=====

NbNi2 | PBE | relaxed

SG: No. 227
ΔE_f (meV/atom): -180
Total magnetization (μB per cell): 0.6
DFT total energy (Ry per atom): -0.5333

Cell: 4.7944 4.7944 4.7944 Å, 60.00 60.00 60.00°
Last column: nearest neighbours and their distance in Å.
Fractional positions:
Ni1 0.6250 0.6250 0.1250  6 Ni 2.40
Ni2 0.6250 0.6250 0.6250  6 Ni 2.40
Ni3 0.6250 0.1250 0.6250  6 Ni 2.40
Ni4 0.1250 0.6250 0.6250  6 Ni 2.40
Nb1 0.2500 0.2500 0.2500  12 Ni 2.81, 4 Nb 2.94
Nb2 0.0000 0.0000 0.0000  12 Ni 2.81, 4 Nb 2.94

=====

NbNi2 | PBE | relaxed

SG: No. 166
ΔE_f (meV/atom): 2630
Total magnetization (μB per cell): 1.8
DFT total energy (Ry per atom): -0.3268

Cell: 7.5178 7.5178 7.5178 Å, 59.93 59.93 59.93°
Last column: nearest neighbours and their distance in Å.
Fractional positions:
Ni1 0.3750 0.3750 0.3750  2 Nb 2.30
Ni2 0.8750 0.3750 0.3750  2 Nb 2.30
Ni3 0.3750 0.3750 0.8750  2 Nb 2.30
Ni4 0.3750 0.8750 0.3750  2 Nb 2.30
Nb1 0.4999 0.4999 0.4999  4 Ni 2.30
Nb2 0.2501 0.2501 0.2501  4 Ni 2.30

~~~~~

1.
! PBE Y6MgFe2, optimized geometry; values from VASP
&SYSTEM
  ibrav = 0, nat = 18, ntyp = 3
/
ATOMIC_SPECIES
Y 88.91 Y.upf
Mg 24.30 Mg.upf
Fe 55.84 Fe.upf
CELL_PARAMETERS angstrom
-4.773 4.852 5.077
4.773 -4.852 5.077
4.773 4.852 -5.077
ATOMIC_POSITIONS angstrom
Y 4.773 2.784 -2.765
Y 2.762 1.820 0.000
Y 6.784 1.820 0.000
Y 1.924 4.852 -1.939
Y 2.849 0.000 3.138
Y 0.000 2.068 2.311
Y 4.773 2.784 2.765
Y 1.924 4.852 1.939
Y 2.849 0.000 7.016
Y -2.011 3.032 5.077
Y 2.011 3.032 5.077
Y 0.000 2.068 7.842
Mg 0.000 0.000 0.000
Mg 0.000 0.000 5.077
Fe 4.773 0.000 1.082
Fe 0.000 3.747 0.000
Fe 0.000 5.957 0.000
Fe 0.000 4.852 3.995
! D(E_F) ... 22.88 states/eV/cell
! Space-group type ... No. 71
! E_tot ... -6.402 eV/atom


2.
! PBE Y2MgFe, optimized geometry; values from VASP
&SYSTEM
  ibrav = 0, nat = 4, ntyp = 3
/
ATOMIC_SPECIES
Y 88.91 Y.upf
Mg 24.30 Mg.upf
Fe 55.84 Fe.upf